“I heard there was a shooting outside the hospital doors. Is that right?”

“Yes, it happened close to the hospital,” Max answered.

Westfield waited for the agent to expound and was sorely disappointed. Usually, the chief’s intense frown, pursed lips, and unnerving silence was enough to make the people he was interrogating so uneasy they would blurt out all sorts of information. His tactics weren’t working on Max.

“Three men were killed?” he prodded.

“Yes, that’s right.”

Another ten seconds passed in silence. Then the chief asked, “An FBI agent was shot?”


Ellie was trying not to smile. Westfield had to be frustrated. By using his stern tone and his most serious scowl, he was doing his best to push the agent into giving an explanation, but it wasn’t working. Apparently, Max couldn’t be intimidated.

The chief abruptly turned to Ellie. “Who did the surgery on the agent?” And before she could answer, he added, “It couldn’t have been you because you’re off duty, aren’t you? And you aren’t on call this weekend. So who did the surgery? Was it Walmer?”

Westfield knew she had operated on the agent. The man knew everything that went on inside the hospital. He was just trying to exert his power and make her squirm. Four more days under his thumb, she reminded herself, just four more days and she was free. She needed to suck it up until then.

“No, sir, Dr. Walmer didn’t do the surgery.” Taking Max’s lead, she didn’t say another word.

“Edmonds?” he snapped.

“No, sir.”

“Then who operated?”

“I did.”

The glare was back in place. “Even though you were off duty?”

“Yes, sir, even though.”

“Don’t give me attitude, Sullivan,” he said, pointing a finger at her.

Max kept expecting Ellie to tell Westfield that Agent Goodman had pleaded with her to do the surgery, but she didn’t. She didn’t offer any excuses. She simply stared Westfield in the eyes and waited.

“Help me understand,” he began in his best sarcastic voice. “Why didn’t you notify Walmer or Edmonds to hightail it to the OR?” And once again he didn’t give her time to answer the question before posing another. “Do you think you’re a better surgeon than they are?”

She didn’t hesitate. “Yes, sir, I do. Absolutely.”

Max could tell Westfield was pleased with her answer but trying not to let her know it.

“You’re arrogant.”

Ellie was about to say, “Thank you,” but caught herself in time. “Yes, sir, I am.”

And it was true. When it came to her work, she was arrogant, just like all the other surgeons in the hospital. It came with the territory and, in Ellie’s opinion, was a necessary requirement. When a surgeon held a scalpel in her hand and was about to cut open a patient, she had better have skill and almost superhuman confidence. Ellie honestly didn’t think there was such a thing as a timid surgeon, and if there was, she certainly wouldn’t want him cutting on her.

Unfortunately, none of her self-assuredness and arrogance spilled over into her personal life. During her last trip home, she had been told by her sister Ava that she was depressingly insecure. But, since Ava was the sister who was marrying Ellie’s ex-fiancé, she wasn’t inclined to listen to anything she had to say. Ava’s twin, Annie, was living in San Diego and hadn’t had a chance to weigh in on Ellie’s faults. She would side with Ava, of course, but she would be much kinder about it. Despite her sisters’ persistence, Ellie would disagree with both of them. She wasn’t depressingly insecure. Just mildly so.

Ellie suddenly realized she was zoning out. Now wasn’t the time to think about personal problems. She’d have plenty of time for that once she was home. Focus, she told herself. Westfield was chatting with Max again, probably telling him how to do his job. She took a deep breath in an attempt to get more oxygen to her befuddled brain.

Westfield turned back to her, his index finger just inches from her face. “You. Get out of here. Now.” He didn’t snarl the order, but he came close.

Ellie watched him as he strode toward ICU. He shoved the doors out of his way, looked over his shoulder, and snapped, “And sign the contract.”

The doors automatically closed behind him. She sighed and, in a faint Southern accent, said, “Isn’t he sweet? We all just love him to pieces.”

Max laughed. “How long have you been taking orders from him?”


“Why does he call you Prod?”

She shrugged. “He likes to.”

She started walking down the long hallway with Max at her side.

“What does it mean?” he asked.

When she didn’t immediately answer, he glanced down at her and saw her cheeks were flushed. She was embarrassed, and that only piqued his interest all the more. He let the question go for now. “Did I hear you call him a dinosaur? When I asked you who he was . . .”

She smiled. “You don’t see the resemblance? Actually, I usually call him ‘T. rex.’ I think it’s more personal. When he’s on a roar—which is ninety percent of the time—he does remind me of a gigantic, prehistoric beast.”

She was moving at a fast clip.

“Ellie, hold up. Where are you going?”

“Upstairs to get my keys.”

“We have to sit down and—”

“I know.”

She kept right on going. Max was becoming frustrated. “Do you run everywhere you go?”

“Pretty much,” she admitted. She slowed to a normal pace . . . normal for her, anyway. She noticed that Max had no trouble keeping up with her. In fact, with his long legs, he barely had to increase his stride beyond a stroll.

She glanced over at him. He was definitely out of her comfort zone. The man had so much testosterone, he made her nervous. He didn’t scare her, though. When he smiled, the corners of his eyes creased, and there was a glint in them that made her shiver inside.

Jeez, get a grip, Sullivan. She was acting like a sex-starved teenager. Granted, it had been a long time since she had been with a man—a long, long time—but, still, her reaction to Max went beyond bizarre. It was completely contrary to her usual calm, rational nature. When she had time, she would figure out her weird behavior. There had to be some logical explanation. But then, maybe she didn’t really have to worry about it at all because, as soon as Max questioned her about the shooting, he’d be on his way, and she would be sane again.

Max noticed that she kept looking at him with a puzzled expression on her face. “What is it?” he asked.

She shook her head. “Nothing important.”


“I’m not going to be much help with descriptions I’m afraid,” she said.

“We have to take your statement anyway.”


“Another agent, Ben MacBride, and I are working this together, and we have to question you.”

“Okay,” she agreed. “Where is he?”

“At the crime scene,” he answered. Where I should be, he silently added.

“Why don’t you start asking your questions while you walk with me.”

“Doesn’t work that way. I’m going to record what you say.”

“Okay, then we need to find someplace quiet, right?”


Ellie passed a bank of elevators and continued on to the stairs. “I’ll grab my things, and we can get out of here. I stand a better chance of actually leaving if you’re with me.”

“How’s that?”

She smiled. “You’ve got a gun.”

Max kept pace as she ran up three flights. “You have a thing against elevators? A phobia?”

“This is the only exercise I get.”

“You were running the track when the shooting started, weren’t you?”

“How did you figure that out?” she asked, taking the steps a little slower while she waited

for his answer.

“I’m an FBI agent, trained to be observant,” he said.

“Oh, please. You thought I was one of the kids on that high school soccer team.”

He laughed. “Yeah, I did,” he admitted. “One of the other agents told me you were running the track.”

He could laugh at himself. What an appealing trait, she thought. She liked that quality in a man . . . Seriously! What was happening to her? She really needed to get away from him as soon as possible.

“You haven’t answered my question. Is it a phobia or just a quirk?” he wondered.

“I do the stairs and I run the track and I don’t particularly like being crammed inside a little metal box with a bunch of other people.”

He grinned. “So that’s a yes. You do have a phobia.”

Probably, she thought, but she wasn’t going to admit it. She did ride in elevators with patients when she had to. She didn’t like it, but she did it anyway.

“Where do you keep your things? On the roof?” he asked.

“Just here.” Ellie entered the hallway on the fourth floor and opened the door to a dark room filled with lockers. She switched on a light and walked to the third one on the left. Had she been alone, she would have locked the door and changed into jeans and a T-shirt, but she wasn’t alone, so she was going to have to stay in her scrubs. She didn’t like wearing them outside the hospital, but she didn’t have a choice now. She pulled out her backpack, put some of her clothes inside, grabbed her keys from the top shelf, and was ready to leave.

She followed him to the stairwell, appreciating the fact that he wasn’t pushing the issue with the elevators. When his cell phone rang, he stopped on a landing to answer, and she stopped to wait for him.

Max’s partner, Ben MacBride, was on the line and wanted help with a couple of uncooperative witnesses.

“Yeah, okay, I’ll be there in five.”

“Hold on,” Ben said. “Agent Hughes wants to talk to you.”

While Max was waiting for Ben to get Hughes, he turned to Ellie. She stood on the step above him, and her eyes were level with his. He found it impossible not to stare at her. The woman was breathtaking. Her eyes were the most intense shade of blue. Her nose was dotted with freckles, which he found damn alluring, and her mouth . . . ah, man, he really needed to stop staring. He was already conjuring up all sorts of fantasies involving her full, luscious lips, and he was going to be in real trouble if he let his eyes wander lower.

Max didn’t wait for Hughes to get on the line. He abruptly ended the call, turned, and continued down the stairs.

“Where are we going to do this?” she asked.

He smiled. Now, that was a leading question, considering where his thoughts had been.

“Go home.” His voice was brisk.


“Yeah,” he said, glancing back at her. “You can go home, and we’ll come to you.”

“Great,” she said. “I can get out of these scrubs. Let me give you my address . . .”

“I’ve got it.”

“Cell phone?”

# Here the page breaks off for calculated crystals
Record 1
Material: Y2Ge4Rh3Au
Method: DFT, PBE
State: optimized geometry

abc: 4.2481 4.2481 10.2403
angles: 90.00 90.00 90.00
Element x y z (fractional)
Rh1 0.0000 0.0000 0.5000
Rh2 0.5000 0.0000 0.8763
Rh3 0.0000 0.5000 0.1237
Y1 0.5000 0.0000 0.2384
Y2 0.0000 0.5000 0.7616
Ge1 0.0000 0.0000 0.0000
Ge2 0.0000 0.5000 0.3574
Ge3 0.5000 0.0000 0.6426
Ge4 0.5000 0.5000 0.0000
Au1 0.5000 0.5000 0.5000

## Properties
- Calculated formation energy: -0.740 eV/atom
- Space-group type: P-4m2, No. 115
- V: 185 Å³ per cell



Record 2
Material: Na2Sr5In2
Method: DFT, PBE
State: optimized geometry

abc: 9.1616 9.1497 10.4239
angles: 90.00 63.93 90.00
Element x y z (fractional)
Sr1 0.5000 0.5000 0.0000
Sr2 0.0000 0.0000 0.0000
Sr3 0.9391 0.3238 0.7677
Sr4 0.2068 0.1762 0.2323
Sr5 0.7932 0.8238 0.7677
Sr6 0.2932 0.6762 0.7677
Sr7 0.4391 0.1762 0.7677
Sr8 0.0609 0.6762 0.2323
Sr9 0.7068 0.3238 0.2323
Sr10 0.5609 0.8238 0.2323
In1 0.3806 0.8804 0.0000
In2 0.6194 0.1196 0.0000
In3 0.1194 0.3804 0.0000
In4 0.8806 0.6196 0.0000
Na1 0.7221 0.5000 0.5559
Na2 0.2779 0.5000 0.4441
Na3 0.2221 0.0000 0.5559
Na4 0.7779 0.0000 0.4441

## Properties
- Calculated formation energy: -0.180 eV/atom
- Space-group type: Cmce, No. 64
- V: 785 Å³ per cell



Record 3
Material: SmDyH
Method: DFT, PBE
State: optimized geometry

abc: 3.6597 3.6597 5.6760
angles: 90.00 90.00 120.00
Element x y z (fractional)
H1 0.3333 0.6667 0.6608
Sm1 0.0000 0.0000 0.9117
Dy1 0.6667 0.3333 0.4275

## Properties
- E above lowest polymorph: 0.0 meV per atom
- Space-group type: P3m1, No. 156
- V: 66 Å³ per cell



Record 4
Material: BaZn4Pt
Method: DFT, PBE
State: optimized geometry

abc: 5.4522 5.4522 5.4522
angles: 60.00 60.00 60.00
Element x y z (fractional)
Zn1 0.3719 0.8843 0.3719
Zn2 0.3719 0.3719 0.8843
Zn3 0.3719 0.3719 0.3719
Zn4 0.8843 0.3719 0.3719
Pt1 0.0000 0.0000 0.0000
Ba1 0.7500 0.7500 0.7500

## Properties
- Calculated formation energy: -0.160 eV/atom
- E above lowest polymorph: 196.2 meV per atom
- Space-group type: F-43m, No. 216
- V: 115 Å³ per cell



Record 5
Material: AsRh
Method: DFT, PBE
State: optimized geometry

abc: 4.4661 4.4661 4.4661
angles: 60.00 60.00 60.00
Element x y z (fractional)
As1 0.0000 0.0000 0.0000
As2 0.7500 0.7500 0.7500
Rh1 0.5000 0.5000 0.5000
Rh2 0.2500 0.2500 0.2500

## Properties
- Calculated formation energy: 0.215 eV/atom
- Space-group type: Fd-3m, No. 227
- V: 63 Å³ per cell



Record 6
Material: MgNi
Method: DFT, PBE
State: optimized geometry

abc: 2.9611 2.9636 6.9737
angles: 90.00 90.00 90.00
Element x y z (fractional)
Mg1 0.5000 0.5000 0.6954
Mg2 0.0000 0.0000 0.0546
Ni1 0.0000 0.0000 0.4676
Ni2 0.5000 0.5000 0.2824

## Properties
- Calculated formation energy: -0.037 eV/atom
- Space-group type: P4/nmm, No. 129
- V: 61 Å³ per cell



Record 7
Material: La3Tm6Sc
Method: DFT, PBE
State: optimized geometry

abc: 9.8149 9.8149 6.8265
angles: 44.04 44.04 60.00
Element x y z (fractional)
Tm1 0.4375 0.7743 0.6964
Tm2 0.7743 0.0919 0.6964
# Back to the page

“Got that, too.”

“But how—”

“You’re a witness. I had all your information downloaded to my phone while I was waiting for you.”

“You Googled me?”

“No, I didn’t need to.”

Ellie wondered what she would find if she Googled him. Under “occupation” would it say he was an FBI agent and give her the number of criminals he’d apprehended . . . and shot? No, of course not. His profile probably wouldn’t tell her whether he was involved with anyone or whether he was married, either. She had taken the time to notice that he wasn’t wearing a wedding band, and something told her that, if he was married, he would always wear it.

Now, why would she make that assumption? She wasn’t clairvoyant, and the truth was, she didn’t know anything about him other than he carried a badge, could be quite intimidating at times, and had a great smile. Was she making him admirable because she wanted him to be? From what she knew about the FBI—which was precious little—outsiders weren’t privy to personal information, but she might Google him anyway just to appease her curiosity.

Okay, she really needed a life outside of the OR. Then maybe she wouldn’t have such a strong reaction to a man she barely knew.

They reached the main floor on the south side of the hospital. Ellie’s ancient SUV was parked in the doctors’ lot adjacent to the hospital. Max opened the exit door for her. She brushed against him as she walked outside and got a hint of his masculine scent and just a trace of aftershave. For a man who looked as though he hadn’t picked up a razor in quite some time, he smelled really good.

She knew what she smelled like. Disinfectant. Unfortunately, that had been her perfume for the past several years. It could be worse, she thought. The pathology residents smelled like formaldehyde, even when they were off duty. The odor seemed to permeate their skin.

~~~
Material: PaCu2O4
Method: DFT, GGA-PBE
State: relaxed

a b c (Å): 6.0170 6.0170 6.0170
angles (deg): 105.87 105.87 116.95
Atoms (fractional coordinates):
Pa  0.7500  0.2500  0.5000
Pa  0.0000  0.0000  0.0000
Cu  0.8750  0.5064  0.1314
Cu  0.2564  0.1250  0.6314
Cu  0.3750  0.7436  0.8686
Cu  0.4936  0.6250  0.3686
O  0.2221  0.9222  0.2952
O  0.0732  0.7779  0.7001
O  0.6270  0.9268  0.7048
O  0.0778  0.3730  0.2999
O  0.5279  0.3232  0.2001
O  0.6768  0.8770  0.2048
O  0.1230  0.3278  0.7999
O  0.6722  0.4721  0.7952

Output
crystal system = tetragonal
total DFT energy (no corrections) = -101.5 eV for the cell shown
DOS(E_F) = 0.71 states/eV per atom
symmetry = I-42d, No. 122

~~~~~

1.
Computed, not measured: a crystal of NaBe3Cr relaxed with PBEsol at the SCAN level of DFT.

Values from the calculation:
ΔH_f (0 K): 1.767 eV per atom
M_tot: 3.38 μB/f.u.
Density of states at the Fermi level: 1.7 states/eV/cell

abc: 4.141 4.141 4.141
angles: 90.00 90.00 90.00
Sites, in units of the cell vectors:
Na (0.000, 0.000, 0.000)
Be (0.000, 0.000, 0.500)
Be (0.000, 0.500, 0.000)
Be (0.500, 0.000, 0.000)
Cr (0.500, 0.500, 0.500)

2.
Computed, not measured: a crystal of Be2NbCr2 relaxed with PBEsol at the SCAN level of DFT.

Values from the calculation:
ΔH_f (0 K): -0.066 eV per atom
M_tot: 0.00 μB/f.u.
Density of states at the Fermi level: 1.8 states/eV/cell

abc: 5.629 5.629 5.629
angles: 145.86 145.86 49.06
Sites, in units of the cell vectors:
Be (0.096, 0.096, 0.000)
Be (0.904, 0.904, 0.000)
Nb (0.500, 0.500, 0.000)
Cr (0.250, 0.750, 0.500)
Cr (0.750, 0.250, 0.500)

3.
Computed, not measured: a crystal of Be2Nb2Cr relaxed with PBEsol at the SCAN level of DFT.

Values from the calculation:
ΔH_f (0 K): -0.074 eV per atom
M_tot: 0.00 μB/f.u.
Density of states at the Fermi level: 6.7 states/eV/cell

abc: 6.199 6.199 3.285
angles: 90.00 90.00 90.00
Sites, in units of the cell vectors:
Be (0.118, 0.382, 0.000)
Be (0.382, 0.882, 0.000)
Be (0.618, 0.118, 0.000)
Be (0.882, 0.618, 0.000)
Nb (0.180, 0.680, 0.500)
Nb (0.320, 0.180, 0.500)
Nb (0.680, 0.820, 0.500)
Nb (0.820, 0.320, 0.500)
Cr (0.000, 0.000, 0.000)
Cr (0.500, 0.500, 0.000)

4.
Computed, not measured: a crystal of BeNbCrO2 relaxed with PBEsol at the SCAN level of DFT.

Values from the calculation:
Formation energy (no corrections): -1.03 eV/f.u.
M_tot: 0.00 μB/f.u.
Density of states at the Fermi level: 3.9 states/eV/cell

abc: 3.549 3.549 5.137
angles: 90.00 90.00 90.00
Sites, in units of the cell vectors:
Be (0.000, 0.000, 0.000)
Nb (0.500, 0.500, 0.000)
Cr (0.500, 0.500, 0.500)
O (0.000, 0.500, 0.500)
O (0.500, 0.000, 0.500)

5.
Computed, not measured: a crystal of BeNbCrSi2 relaxed with PBEsol at the SCAN level of DFT.

Values from the calculation:
Formation energy (no corrections): 5.10 eV/f.u.
M_tot: 4.17 μB/f.u.
Density of states at the Fermi level: 3.1 states/eV/cell

abc: 4.721 4.721 4.449
angles: 90.00 90.00 90.00
Sites, in units of the cell vectors:
Be (0.000, 0.000, 0.000)
~~~

Max walked her to her car. It was a gentlemanly thing to do, but not at all necessary since it was light outside and there were police cars all over the campus. The crime scene team was still there, combing the park for additional evidence. Ellie didn’t believe she could be any safer.

“Do you walk out here in the middle of the night?” Max asked as he looked around.

“Yes. Why?”

“I count only six lights, and this is a big parking lot with countless places to hide. Not good.”

“If I’m leaving during the night, a guard walks me to my car.”

“What happens when you get called to come in?”

I park my car, then run like lightning to the doors with pepper spray in my hand, she thought but didn’t say.

“I try to park as close to the hospital doors as possible, and I’m vigilant,” she stated with a nod.

“Vigilant, huh?”

His smile could stop traffic. She couldn’t tell if he was teasing her or laughing at her.

Max opened her car door. “I’ll see you later. It will probably be a couple of hours before we get to your place. Don’t go anywhere. Stay home.”

“Of course.”

It wasn’t until she had driven out of the lot and was on her way home that she glanced in the mirror. No makeup, hair a mess, and wearing scrubs that were two sizes too big for her—lovely. No wonder Max had escorted her to her car. He probably felt sorry for her. He wouldn’t have given her a second glance under normal circumstances.

Oh well, what did it matter? After a brief interview, he would be history, and after next Tuesday, hopefully, she would be, too.


The Landrys had escaped once again, but Max knew it was only a matter of time before the notorious couple would run out of luck. Since Dr. Ellie Sullivan was a potential witness to the shooting, it was his job to find out all he could about her before he added her to the witness list for the federal prosecutor.

He tried to be objective but found it impossible, for the more he learned about her, the less inclined he was to let anyone know she had witnessed anything, which was ludicrous considering the other agents in the park had watched her stabilize Sean Goodman, knew she had operated on him, and by now had heard that she had seen Calvin Landry shoot the agent.

While he had waited for Ellie in the hospital, Max had quickly pulled up all the superficial information on her: her phone numbers; addresses both in St. Louis and in Winston Falls, South Carolina; and her position and schedule at St. Vincent’s Hospital. When he dug a little deeper, however, he uncovered something disturbing: court documents detailing five separate incidents involving Ellie and a teenager named Evan Patterson. The first document was filed when Ellie was only eleven years old. According to the records, Evan, who was seventeen at the time, had become infatuated with the young girl after the two attended a science camp sponsored by the Winston Falls School District. His obsession grew, and when he physically assaulted her, Ellie’s family brought charges against him. Since he was a juvenile with no pr

evious record, he was given leniency.

The second time, Patterson became more aggressive. He tried to force her into his car. His statement to the police said he couldn’t stop thinking about her, that they were kindred spirits, and once she was alone with him, he would be able to convince her that they belonged together. Patterson was given probation with court-ordered therapy.

Despite the strict rulings of the court, Patterson did not keep his distance, terrorizing the girl on two more occasions. His anger over her rejection had grown to an alarming intensity. For these offenses, he was ordered to undergo yet another psychological evaluation and a thirty-day hospitalization; however, with shrewd attorneys and plea bargains he bypassed judge and jury.

There was no plea bargain for the fifth offense of attempted murder.

Ellie was on her way home from school. She was with three girls who tried to protect her, but Patterson was big and strong. He grabbed Ellie and threw her into his car. The authorities found her two hours later, brutally beaten and left for dead in a ravine two miles out of town.

By the time she reached the emergency room, she had lost a lot of blood and her prognosis was bleak. She was flown to a trauma center, and the surgeons worked through the night to save her. She spent her twelfth birthday in the ICU.

“Ah, man,” Max whispered as he read the last report. “That son of a bitch.”

He was sitting in the local FBI office across from his partner, Ben MacBride, who had just hung up the phone.

“What are you reading?” Ben asked as Max was closing his laptop.

“Ellie Sullivan’s background.”